The Vojkovich family has been feeding prime USDA steaks, served “sizzling in butter,” to over four generations of New Orleanians.
The two-story building with art deco accents on the corner of St. Phillip and N. Broad has long been a landmark on the edge of Bayou St. John. Almost 90 years ago, John Vojkovich took the industry knowledge he gained working in local restaurants and opened Crescent City Steak House at the tender age of 26, and it has remained in the family ever since. Generations of diners’ voices have risen in approbation to the building’s pressed tin ceilings and echoed off of the Victorian mosaic-tile floors. Patrons and their children, grandchildren, and great grandchildren have returned year after year to celebrate birthdays, graduations and anniversaries in this venerated New Orleans steakhouse.
~~~
A molecular structure, C7H12LiN4O3S at a distorted geometry. Source: the OMol25 dataset; level of theory: ωB97M-V/def2-TZVPD.

Last column: natural (NBO) charge in e.
Positions of all 28 atoms, in Å:
Li (-0.61161, -0.14532, 1.64496)  0.8840
O (0.89475, -0.86133, -0.43395)  -0.6163
C (1.47142, -0.06853, -1.17240)  0.6790
O (-1.36390, 0.83835, -0.78508)  -0.6127
C (-0.55024, 1.38420, -1.51262)  0.9097
O (-0.87203, 2.43682, -2.28363)  -0.4525
N (0.81597, 1.07688, -1.70255)  -0.4876
C (0.26357, 2.82219, -3.10173)  -0.0879
C (1.39135, 1.89229, -2.76014)  -0.2441
H (0.54925, 3.85825, -2.89484)  0.2108
H (0.00588, 2.72549, -4.16768)  0.2119
H (2.28368, 2.41858, -2.38703)  0.2177
H (1.67523, 1.25127, -3.60936)  0.2162
C (2.87457, -0.24453, -1.57536)  -0.3695
C (3.50840, -1.38503, -1.22282)  -0.2200
H (3.39265, 0.51926, -2.17302)  0.2280
H (2.99232, -2.12224, -0.59236)  0.2216
H (4.52912, -1.61085, -1.53463)  0.2200
N (-1.79849, -1.89451, 1.46862)  -0.6899
N (-2.38095, -1.85626, 2.78152)  -0.4537
C (-2.11438, -0.91393, 3.74198)  0.3096
N (-2.83081, -1.07730, 4.86687)  -0.7640
S (-1.02067, 0.39973, 3.77964)  -0.3285
H (-1.24883, -2.75975, 1.34808)  0.3886
H (-2.53645, -1.93505, 0.74899)  0.3968
H (-3.07969, -2.58463, 2.97953)  0.3927
H (-2.68168, -0.38065, 5.58089)  0.4355
H (-3.55843, -1.78340, 4.96811)  0.4047

**E_tot**: -1124.25599 Eh
**Charge**: +1
**Strongest force on any atom**: 0.0323 Eh/bohr

~~~~~

# 1
Molecular formula: C3H2NO3
Method: DFT, ωB97M-V/def2-TZVPD

Each line ends with the Mulliken spin population.
Geometry (Å):
C (0.0124, 0.1635, -0.2514)  -0.357
C (0.1033, 1.5469, -0.2247)  2.509
C (1.2977, -0.2239, -1.2509)  0.234
N (0.3858, 2.5906, -0.5493)  -0.830
O (2.4156, -0.0102, -0.7953)  0.018
O (0.9181, -0.6002, -2.3526)  0.048
O (0.6096, 3.7664, -0.6714)  0.497
H (0.0119, -0.0549, 0.8275)  -0.056
H (-0.9181, -0.2072, -0.6988)  -0.063

Values from the calculation:
Max |F|   8.9 eV/Å
Spin multiplicity   3
Gap between HOMO and LUMO (alpha / beta)   4.70 / 6.49 eV
Molecular weight   100.1 g mol⁻¹
Energy above the lowest of the compared OMol25 structures with the same formula, charge and spin   2.545 eV
Net charge   -1
Calculated total energy   -395.80161 Eh

***

# 2
Molecular formula: C3H2NO6PS
Method: DFT, ωB97M-V/def2-TZVPD

Each line ends with the Mulliken charge.
Geometry (Å):
C (-1.6426, 2.3570, -1.4742)  0.020
C (0.9663, -3.2113, 0.6354)  0.453
C (0.9374, -1.7670, 1.1126)  0.283
N (-2.1092, 1.5942, -0.6510)  -0.459
O (1.8225, -3.5910, -0.1310)  -0.664
O (1.3156, 0.6343, -0.9544)  -0.631
O (-0.3551, 2.5770, -1.5981)  -0.463
O (-0.0184, -3.8493, 1.1602)  -0.705
O (0.7211, 2.4854, 0.7742)  -0.686
O (-1.0997, 0.8654, -0.0098)  -0.159
P (0.4253, 1.5884, -0.3245)  0.937
S (1.3179, -1.3900, 2.6325)  -0.378
H (-2.4461, 2.8446, -1.9154)  0.449
H (0.1648, -1.1378, 0.7436)  0.003

Values from the calculation:
Max |F|   5.6 eV/Å
Gap between HOMO and LUMO   6.82 eV
Molecular weight   211.1 g mol⁻¹
~~~
Vojkovich’s story is the archetypal American dream. Born and raised in Sucuraj on the Croatian island Hvar, John (then only 15 years old) traveled to Louisiana with his father. The two began working on an oyster boat with their fellow Croatians in Plaquemines Parish, saving their money to bring his mother and sisters to America. He only lasted two months on the boat before he headed back into New Orleans and sought employment at several downtown restaurants, working his way up in the local tradition from dishwasher to management. After eleven years learning the ins and outs of the industry, Vojkovich opened his legendary steakhouse, offering a simple menu focused on prime USDA aged beef from Chicago.
After earning respect as an established restaurateur in New Orleans, Vojkovich returned to visit his remaining family in Croatia and that is when he espied his future wife, now the family matriarch, Krasna. “ He was sitting out in front of our church with his uncle and apparently he asked his uncle who I was,” said Krasna. “He later said his uncle gave him a good report!” With John’s cousin acting as a matchmaker, and with Krasna’s approval (and her parents’ approval as well), John and Krasna were soon married.
_Data records that have nothing to do with the article_
- - -
Formula: C33H49AsN7O5Tl
Source: the Open Molecules 2025 dataset
Level of theory: the ωB97M-V functional and the def2-TZVPD basis

Summary:
- LUMO energy (eV) = 4.0
- multiplicity = 1
- total charge = -2
- energy above the lowest of the compared OMol25 structures with the same formula, charge and spin (kJ/mol) = 0.00
- energy (hartree) = -4454.64572

Structure (XYZ):
```
96
C33H49AsN7O5Tl the ωB97M-V functional and the def2-TZVPD basis
Tl 0.7565 -2.2854 -0.6267
N -0.5223 -3.5683 1.7540
C -1.4429 -4.5438 1.2377
C -0.7212 -5.4763 0.2220
O -0.9585 -6.7002 0.2088
N 0.1272 -4.8437 -0.5846
C 0.8141 -5.6166 -1.5877
C 2.1771 -4.8611 -2.0055
O 3.2462 -5.4623 -1.7834
O 1.9986 -3.7142 -2.4789
H 0.2503 -4.0045 2.2522
H -0.9357 -2.9240 2.4313
H -2.2775 -4.0263 0.7198
H -1.9123 -5.1837 2.0033
H 0.2345 -5.7656 -2.5231
H 1.0025 -6.6230 -1.1615
N -1.5124 -2.6587 -2.1789
C -1.6443 -2.6106 -3.6226
C -1.0388 -1.3873 -4.3584
C 0.4827 -1.2937 -4.2443
N 1.0199 -0.6583 -3.0553
H -1.7762 -3.5805 -1.8288
H -2.1321 -1.9787 -1.7384
H -2.7193 -2.6575 -3.9332
H -1.1647 -3.5108 -4.0168
H -1.5374 -0.4598 -4.0682
H -1.2851 -1.5300 -5.4238
H 0.8501 -0.7996 -5.1664
H 0.8920 -2.3132 -4.2404
H 0.7041 0.3060 -2.9746
H 2.0439 -0.6380 -3.1268
C 5.1626 -2.1918 3.3229
O 4.6942 -1.6577 2.0858
C 3.9383 -2.4333 1.2552
O 3.5871 -1.9963 0.1441
N 3.5330 -3.6168 1.7580
N 2.9329 -4.5982 0.9771
H 5.8404 -1.4409 3.7560
H 5.7485 -3.1224 3.2058
H 4.3586 -2.3477 4.0551
H 3.9415 -3.9326 2.6310
H 2.0624 -4.1988 0.6257
H 3.5598 -4.8578 0.2089
C 0.9810 4.1369 5.5821
C 0.9093 3.5809 4.1696
C 0.2876 4.2581 3.1156
C 0.1546 3.7746 1.8040
C -0.5985 4.7109 0.8490
C 0.6272 2.4634 1.5487
As 0.3019 1.2835 -0.0757
N -0.9674 0.0370 0.6089
C -2.0563 0.3486 1.3459
C -2.5436 1.6491 1.7726
C -3.6976 1.7252 2.5151
C -4.4338 0.5884 2.8191
C -4.0351 -0.6766 2.3825
C -2.8644 -0.8002 1.6736
C -0.4986 2.4823 -1.4754
C -1.8006 2.3123 -2.0161
C -2.8247 1.2441 -1.6470
C -2.2125 3.2149 -2.9980
C -1.3945 4.2354 -3.5179
C -1.8857 5.2103 -4.5903
C -0.0954 4.3313 -2.9850
C 0.3803 3.4770 -1.9840
C 1.8470 3.6224 -1.5718
C 1.3608 1.7675 2.5529
C 2.0126 0.4114 2.3408
C 1.4814 2.3376 3.8357
H 0.5293 5.1308 5.6494
H 2.0113 4.2237 5.9472
H 0.4718 3.5059 6.3246
H -0.1215 5.2327 3.3439
H -1.0856 5.4750 1.4444
H -1.3579 4.2061 0.2510
H 0.0943 5.2223 0.1507
H -2.0329 2.5550 1.4606
H -4.0521 2.6936 2.8837
H -5.3555 0.6738 3.3723
H -4.6587 -1.5419 2.5643
H -2.5442 -1.7665 1.3018
H -2.3552 0.2896 -1.4022
H -3.5299 1.1142 -2.4872
H -3.4107 1.5337 -0.7698
H -3.2048 3.0997 -3.4047
H -2.9006 4.9464 -4.9286
H -1.2168 5.2389 -5.4613
H -1.9132 6.2246 -4.1729
H 0.5850 5.0875 -3.3711
H 2.2914 4.4994 -2.0492
H 2.4377 2.7167 -1.8345
H 1.9689 3.7744 -0.4921
H 2.7188 0.3812 1.4920
H 1.2481 -0.3654 2.1641
H 2.5738 0.1118 3.2307
H 1.9956 1.7748 4.6109
```
- - -

Two weeks later, John returned to the States to arrange travel and immigration papers for Krasna. She flew to America alone and John met her in New York when she got off the plane. “I’d never seen a plane before,” says Krasna. “I had seen the German planes during the war, but not a real commercial plane.” The newlyweds planned to stay in New York for five days, but the shock of it all hit Krasna as soon as they reached the hotel room. Saying goodbye to her family in Croatia, coming to a country where she knew no one and couldn’t speak the language . . . it all crashed down on her and she began to cry. “He [John] asked me why I was crying, and I said ‘Just leave me alone!’” recalled Krasna, laughing at the memory.
Though a drastic change from her former life, Krasna admits her marriage to John was a happy one. They lived over the restaurant on N. Broad Street and together raised four children, two boys and two girls. “I was very happy,” says Krasna. “He [John] was good man, a good father, a good husband.” Like John when he first moved to America, Krasna worked hard and sent money back home to help her family in Croatia. “I worked hard over here, but it was nothing like how hard I worked over there” confessed Krasna.
After her children were born and her youngest was a year old, John asked Krasna if she wouldn’t mind helping out in the restaurant until he could find someone to take her place. “I liked it and I’ve been there ever since,” says Krasna. Not only does she do “what nobody else will do” a.k.a. cleaning, over the years Krasna has made it a point to learn everything that goes on behind the scenes, from cutting and cooking the meat to preparing the salad dressing, bread pudding and (of course) her famous cheesecake. “I just stay in the back and whatever it is they need, I do. I can cut the meat, I can cook the meat, I can do whatever anybody else can do. You have to” explains Krasna. The Vojkovichs stand firmly behind the belief that if you own a restaurant, you should know how to cook and John made it a point to teach his children the business.
When John passed away in 1990, his sons Frank and Anthony took over the business with lots of help from his mother. When she’s not at the restaurant baking yet another one of her incredible Creole cream cheese cheesecakes, Krasna spends much of her time gardening. “I love gardening,” says Krasna. “When I was growing up, we didn’t have a grocery. You have to grow what you eat and you eat what you grow.” Though she loves eating fresh broccoli, cauliflower and collard greens from her garden, Krasna also loves a good steak. “I like the rib-eye,” Krasna confessed. “The filet is too soft and has no flavor. There’s no fat, no bone.”
As you’d imagine, over its 87 years of business Crescent City Steak House has a lot of history steeped into its brick walls and curtained “cheaters” alcoves. “Oh my gosh!” exclaims Krasna. “Let me tell you, if ose booths could talk!” Over the years, the steakhouse has fed true legends, folks like Elvis Presley, Fats Domino and Mohammad Ali, not to mention local congressmen, senators, mayors and judges. “We’ve fed all kinds of people, good people.” says Krasna. “The people appreciate that we serve the food our way and we cook it our way, not like anybody else.”
*Article was originally published in the December 2021 issue of Where Y’at Magazine